=====
A plane-wave DFT calculation with PBE was carried out for a relaxed structure of CaHgOs2.

Structure (POSCAR):
```
CaHgOs2
1.0
1.546 -2.374 0.000
1.546 2.374 0.000
0.000 0.000 9.738
Ca Hg Os
1 1 2
direct
0.000 0.000 0.000
0.000 0.000 0.500
0.500 0.500 0.251
0.500 0.500 0.749
```

Summary:
ΔH_f (0 K) in meV/atom: 921
Space group: Cmmm, No. 65
V in Å³ per cell: 71.5

***

A plane-wave DFT calculation with PBE was carried out for a relaxed structure of CaHgOs.

Structure (POSCAR):
```
CaHgOs
1.0
-1.433 2.233 4.715
1.433 -2.233 4.715
1.433 2.233 -4.715
Ca Hg Os
1 1 1
direct
0.000 0.000 0.000
0.682 0.682 0.000
0.329 0.329 0.000
```

Summary:
ΔH_f (0 K) in meV/atom: 508
Space group: Imm2, No. 44
V in Å³ per cell: 60.3
ΔE to the lowest computed polymorph in meV per atom: 48

***

A plane-wave DFT calculation with PBE was carried out for a relaxed structure of Ca2HgOs2.

Structure (POSCAR):
```
Ca2HgOs2
1.0
-2.837 2.837 3.919
2.837 -2.837 3.919
2.837 2.837 -3.919
Ca Hg Os
2 1 2
direct
0.250 0.750 0.500
0.750 0.250 0.500
0.000 0.000 0.000
0.352 0.352 0.000
0.648 0.648 0.000
```

Summary:
ΔH_f (0 K) in meV/atom: 712
Space group: I4/mmm, No. 139
V in Å³ per cell: 126.2
ΔE to the lowest computed polymorph in meV per atom: 464

***

A plane-wave DFT calculation with PBE was carried out for a relaxed structure of CaHgOs2.

Structure (POSCAR):
```
CaHgOs2
1.0
-1.983 1.983 4.672
1.983 -1.983 4.672
1.983 1.983 -4.672
Ca Hg Os
1 1 2
direct
0.000 0.000 0.000
0.500 0.500 0.000
0.250 0.750 0.500
0.750 0.250 0.500
```

Summary:
ΔH_f (0 K) in meV/atom: 818
Space group: I4/mmm, No. 139
V in Å³ per cell: 73.5

***

A plane-wave DFT calculation with PBE was carried out for a relaxed structure of CaHgOs2.

Structure (POSCAR):
```
CaHgOs2
1.0
2.818 0.000 0.000
0.000 2.818 0.000
0.000 0.000 9.230
Ca Hg Os
1 1 2
direct
0.000 0.000 0.000
0.000 0.000 0.500
0.500 0.500 0.259
0.500 0.500 0.741
```

Summary:
ΔH_f (0 K) in meV/atom: 958
Space group: P4/mmm, No. 123
V in Å³ per cell: 73.3

***

A plane-wave DFT calculation with PBE was carried out for a relaxed structure of CaHgOs2.

Structure (POSCAR):
```
CaHgOs2
1.0
0.000 3.305 3.305
3.305 0.000 3.305
3.305 3.305 0.000
Ca Hg Os
1 1 2
direct
0.000 0.000 0.000
0.750 0.750 0.750
0.250 0.250 0.250
0.500 0.500 0.500
```

Summary:
ΔH_f (0 K) in meV/atom: 736
Space group: F-43m, No. 216
V in Å³ per cell: 72.2

***

A plane-wave DFT calculation with PBE was carried out for a relaxed structure of CaHgOs3.

Structure (POSCAR):
```
CaHgOs3
1.0
4.996 0.000 0.000
0.000 4.996 0.000
0.000 0.000 4.996
Ca Hg Os
1 1 3
direct
0.000 0.000 0.000
0.500 0.500 0.500
0.000 0.500 0.500
0.500 0.000 0.500
0.500 0.500 0.000
```

Summary:
ΔH_f (0 K) in meV/atom: 2505
Space group: Pm-3m, No. 221
V in Å³ per cell: 124.7
ΔE to the lowest computed polymorph in meV per atom: 0

***

A plane-wave DFT calculation with PBE was carried out for a relaxed structure of CaHgOs.

Structure (POSCAR):
```
CaHgOs
1.0
-1.497 1.497 6.762
1.497 -1.497 6.762
1.497 1.497 -6.762
Ca Hg Os
1 1 1
direct
0.000 0.000 0.000
0.314 0.314 0.000
0.659 0.659 0.000
```

Summary:
ΔH_f (0 K) in meV/atom: 505
Space group: I4mm, No. 107
V in Å³ per cell: 60.6
ΔE to the lowest computed polymorph in meV per atom: 45

***

A plane-wave DFT calculation with PBE was carried out for a relaxed structure of CaHgOs2.

Structure (POSCAR):
```
CaHgOs2
1.0
-2.108 2.108 10.091
2.108 -2.108 10.091
2.108 2.108 -10.091
Ca Hg Os
2 2 4
direct
0.000 0.000 0.000
0.750 0.250 0.500
0.250 0.750 0.500
0.500 0.500 0.000
0.239 0.625 0.114
0.375 0.489 0.614
0.511 0.125 0.886
0.875 0.761 0.386
```

Summary:
ΔH_f (0 K) in meV/atom: 724
Space group: I-42d, No. 122
V in Å³ per cell: 179.3

***

A plane-wave DFT calculation with PBE was carried out for a relaxed structure of CaHgOs.

Structure (POSCAR):
```
CaHgOs
1.0
0.000 3.334 3.334
3.334 0.000 3.334
3.334 3.334 0.000
Ca Hg Os
1 1 1
direct
0.000 0.000 0.000
0.500 0.500 0.500
0.250 0.250 0.250
```

Summary:
ΔH_f (0 K) in meV/atom: 817
=====

Return the whole of the entries above exactly.

A plane-wave DFT calculation with PBE was carried out for a relaxed structure of CaHgOs2.

Structure (POSCAR):
```
CaHgOs2
1.0
1.546 -2.374 0.000
1.546 2.374 0.000
0.000 0.000 9.738
Ca Hg Os
1 1 2
direct
0.000 0.000 0.000
0.000 0.000 0.500
0.500 0.500 0.251
0.500 0.500 0.749
```

Summary:
ΔH_f (0 K) in meV/atom: 921
Space group: Cmmm, No. 65
V in Å³ per cell: 71.5

***

A plane-wave DFT calculation with PBE was carried out for a relaxed structure of CaHgOs.

Structure (POSCAR):
```
CaHgOs
1.0
-1.433 2.233 4.715
1.433 -2.233 4.715
1.433 2.233 -4.715
Ca Hg Os
1 1 1
direct
0.000 0.000 0.000
0.682 0.682 0.000
0.329 0.329 0.000
```

Summary:
ΔH_f (0 K) in meV/atom: 508
Space group: Imm2, No. 44
V in Å³ per cell: 60.3
ΔE to the lowest computed polymorph in meV per atom: 48

***

A plane-wave DFT calculation with PBE was carried out for a relaxed structure of Ca2HgOs2.

Structure (POSCAR):
```
Ca2HgOs2
1.0
-2.837 2.837 3.919
2.837 -2.837 3.919
2.837 2.837 -3.919
Ca Hg Os
2 1 2
direct
0.250 0.750 0.500
0.750 0.250 0.500
0.000 0.000 0.000
0.352 0.352 0.000
0.648 0.648 0.000
```

Summary:
ΔH_f (0 K) in meV/atom: 712
Space group: I4/mmm, No. 139
V in Å³ per cell: 126.2
ΔE to the lowest computed polymorph in meV per atom: 464

***

A plane-wave DFT calculation with PBE was carried out for a relaxed structure of CaHgOs2.

Structure (POSCAR):
```
CaHgOs2
1.0
-1.983 1.983 4.672
1.983 -1.983 4.672
1.983 1.983 -4.672
Ca Hg Os
1 1 2
direct
0.000 0.000 0.000
0.500 0.500 0.000
0.250 0.750 0.500
0.750 0.250 0.500
```

Summary:
ΔH_f (0 K) in meV/atom: 818
Space group: I4/mmm, No. 139
V in Å³ per cell: 73.5

***

A plane-wave DFT calculation with PBE was carried out for a relaxed structure of CaHgOs2.

Structure (POSCAR):
```
CaHgOs2
1.0
2.818 0.000 0.000
0.000 2.818 0.000
0.000 0.000 9.230
Ca Hg Os
1 1 2
direct
0.000 0.000 0.000
0.000 0.000 0.500
0.500 0.500 0.259
0.500 0.500 0.741
```

Summary:
ΔH_f (0 K) in meV/atom: 958
Space group: P4/mmm, No. 123
V in Å³ per cell: 73.3

***

A plane-wave DFT calculation with PBE was carried out for a relaxed structure of CaHgOs2.

Structure (POSCAR):
```
CaHgOs2
1.0
0.000 3.305 3.305
3.305 0.000 3.305
3.305 3.305 0.000
Ca Hg Os
1 1 2
direct
0.000 0.000 0.000
0.750 0.750 0.750
0.250 0.250 0.250
0.500 0.500 0.500
```

Summary:
ΔH_f (0 K) in meV/atom: 736
Space group: F-43m, No. 216
V in Å³ per cell: 72.2

***

A plane-wave DFT calculation with PBE was carried out for a relaxed structure of CaHgOs3.

Structure (POSCAR):
```
CaHgOs3
1.0
4.996 0.000 0.000
0.000 4.996 0.000
0.000 0.000 4.996
Ca Hg Os
1 1 3
direct
0.000 0.000 0.000
0.500 0.500 0.500
0.000 0.500 0.500
0.500 0.000 0.500
0.500 0.500 0.000
```

Summary:
ΔH_f (0 K) in meV/atom: 2505
Space group: Pm-3m, No. 221
V in Å³ per cell: 124.7
ΔE to the lowest computed polymorph in meV per atom: 0

***

A plane-wave DFT calculation with PBE was carried out for a relaxed structure of CaHgOs.

Structure (POSCAR):
```
CaHgOs
1.0
-1.497 1.497 6.762
1.497 -1.497 6.762
1.497 1.497 -6.762
Ca Hg Os
1 1 1
direct
0.000 0.000 0.000
0.314 0.314 0.000
0.659 0.659 0.000
```

Summary:
ΔH_f (0 K) in meV/atom: 505
Space group: I4mm, No. 107
V in Å³ per cell: 60.6
ΔE to the lowest computed polymorph in meV per atom: 45

***

A plane-wave DFT calculation with PBE was carried out for a relaxed structure of CaHgOs2.

Structure (POSCAR):
```
CaHgOs2
1.0
-2.108 2.108 10.091
2.108 -2.108 10.091
2.108 2.108 -10.091
Ca Hg Os
2 2 4
direct
0.000 0.000 0.000
0.750 0.250 0.500
0.250 0.750 0.500
0.500 0.500 0.000
0.239 0.625 0.114
0.375 0.489 0.614
0.511 0.125 0.886
0.875 0.761 0.386
```

Summary:
ΔH_f (0 K) in meV/atom: 724
Space group: I-42d, No. 122
V in Å³ per cell: 179.3

***

A plane-wave DFT calculation with PBE was carried out for a relaxed structure of CaHgOs.

Structure (POSCAR):
```
CaHgOs
1.0
0.000 3.334 3.334
3.334 0.000 3.334
3.334 3.334 0.000
Ca Hg Os
1 1 1
direct
0.000 0.000 0.000
0.500 0.500 0.500
0.250 0.250 0.250
```

Summary:
ΔH_f (0 K) in meV/atom: 817